In this supplementary file, we demonstrate how to calculate overall agreement for two classifications. Here we use two classifications by cola and Seurat on the PBMC scRNASeq dataset.

tb = readRDS("cola_Seurat_classification.rds")
##   cola_class Seurat_class
## 1         01            2
## 2         03            3
## 3         01            2
## 4       0212            1
## 5        042            6
## 6         01            2

The contingency table on the two classifications:

# Attached: records of molecules
Computed, not measured: C4H2Cl4 in the gas phase at a distorted geometry, with the ωB97M-V functional and the def2-TZVPD basis.

Values from the calculation:
lowest unoccupied orbital energy (spin up / spin down): -1.67 / -0.87 eV
DFT total energy: -54265.305 eV
frontier orbital gap (spin up / spin down): 7.1 / 8.9 eV
ΔE to the lowest compared entry with this formula, charge and spin: 314.53 kJ/mol

```
! RIJCOSX wB97M-V def2-TZVPD def2/J DEFGRID3
* xyz 0 1
Cl 2.10 0.99 -1.02
Cl -1.33 1.01 -1.94
C -0.79 -0.53 0.40
C 0.69 -0.82 0.48
C -1.62 0.76 -0.30
Cl -1.77 2.17 0.63
Cl 3.29 -1.25 0.41
H -1.17 -0.52 1.42
C 1.83 -0.42 0.03
H -1.23 -1.38 -0.12
*
```

##           Seurat_class
## cola_class   0   1   2   3   4   5   6   7   8
##       01   692   0 447   2  50   0   0   1   1
##       0211   0   3   0   0   0 139   0   0   1
##       0212   0  90   0   0   0  17   0  22   0
##       022    0 386   0   0   0   6   0   7   1
##       03     0   1   0 342   0   0   0   1   0
##       041   19   0  21   0 208   0   4   0   0
##       042    0   0   4   0  21   0 140   1  11

Next we define a function that calculates overlap coeffcient for every pair of classes in the two classifications:

overlap_coefficient = function(x, y) {
    le1 = unique(x)
    le2 = unique(y)

    om = matrix(nrow = length(le1), ncol = length(le2))
    dimnames(om) = list(le1, le2)
    for(a in le1) {
        for(b in le2) {
            om[a, b] = sum(x == a & y == b)/min(sum(x == a), sum(y == b))
m = overlap_coefficient(tb$cola_class, tb$Seurat_class)

We manually reorder m and visualize it via a heatmap. The two barplot annotations shows number of samples in each class.

# Misplaced data records
<<<
1.
Computed, not measured: a structure of composition C38H52N3OP2V, with wB97M-V/def2-TZVPD.

LUMO (spin up / spin down) ... -11.29 / -11.26 eV
Gap between HOMO and LUMO (spin up / spin down) ... 0.1897 / 0.1882 Ha
DFT total energy ... -3344.31869 Eh
Net charge ... +3
Spin multiplicity ... 2

Atoms and positions in Å:
C1 -1.710 -1.598 -2.005
C2 0.569 -2.099 -1.807
C3 -1.868 -2.532 -3.029
C4 0.426 -3.177 -2.706
C5 -0.799 -3.387 -3.316
H1 -2.815 -2.574 -3.559
H2 1.323 -3.738 -2.958
H3 -0.917 -4.197 -4.034
N1 -0.582 -1.576 -1.254
P1 -2.531 0.053 0.003
P2 2.477 -0.451 -0.337
C6 -2.680 -0.463 -1.769
H4 -2.400 0.402 -2.395
H5 -3.706 -0.728 -2.061
C7 0.536 1.414 1.081
O1 0.957 2.311 1.710
C8 1.800 -1.376 -1.711
H6 2.604 -1.851 -2.302
C9 3.907 0.353 -1.452
C10 3.292 -1.300 1.225
C11 -3.204 1.810 0.043
C12 -3.642 -1.244 0.828
C13 3.693 1.854 -1.219
H7 3.715 2.117 -0.151
H8 4.497 2.419 -1.718
H9 2.738 2.197 -1.638
C14 5.326 -0.086 -1.083
H10 5.619 0.112 -0.049
H11 5.478 -1.149 -1.308
H12 6.028 0.472 -1.725
C15 3.815 0.013 -2.954
H13 4.472 0.695 -3.516
H14 4.165 -1.008 -3.164
H15 2.804 0.120 -3.353
C16 3.967 -0.156 2.009
H16 3.242 0.632 2.261
H17 4.385 -0.553 2.946
H18 4.785 0.326 1.464
C17 2.203 -1.911 2.110
H19 1.563 -1.146 2.555
H20 1.569 -2.621 1.559
H21 2.685 -2.455 2.939
C18 4.253 -2.426 0.843
H22 5.175 -2.084 0.366
H23 4.548 -2.951 1.766
H24 3.765 -3.156 0.183
C19 -4.080 -0.750 2.215
H25 -4.615 -1.573 2.716
H26 -3.218 -0.483 2.839
H27 -4.773 0.100 2.163
C20 -2.823 -2.536 1.001
H28 -2.461 -2.928 0.043
H29 -1.966 -2.390 1.667
H30 -3.480 -3.297 1.447
C21 -4.876 -1.577 -0.034
H31 -5.543 -2.220 0.560
H32 -5.446 -0.686 -0.326
H33 -4.603 -2.140 -0.936
C22 -2.427 2.672 -0.968
H34 -2.581 2.346 -2.004
H35 -2.784 3.711 -0.885
H36 -1.347 2.666 -0.771
C23 -2.988 2.397 1.448
H37 -1.920 2.450 1.706
H38 -3.393 3.421 1.457
H39 -3.504 1.826 2.228
C24 -4.691 1.798 -0.328
H40 -4.861 1.347 -1.316
H41 -5.310 1.282 0.417
H42 -5.042 2.840 -0.378
V1 -0.092 -0.045 0.154
N2 0.175 0.894 -1.456
C25 0.880 0.648 -2.451
C26 0.943 1.525 -3.622
C27 0.814 2.898 -3.352
C28 1.006 1.076 -4.951
C29 0.763 3.824 -4.390
H43 0.726 3.223 -2.315
C30 0.981 2.015 -5.987
H44 1.061 0.003 -5.144
C31 0.873 3.387 -5.714
H45 0.620 4.878 -4.144
H46 1.027 1.686 -7.027
H47 0.830 4.119 -6.527
N3 -0.703 -0.573 2.197
C32 -0.737 -0.383 3.360
C33 -0.651 -0.247 4.757
C34 -1.815 -0.320 5.555
C35 -1.712 -0.156 6.940
C36 -0.465 0.059 7.532
C37 0.692 0.117 6.750
C38 0.609 -0.020 5.362
H48 -2.777 -0.501 5.081
H49 -2.616 -0.198 7.549
H50 -0.394 0.182 8.614
H51 1.668 0.273 7.212
H52 1.499 0.053 4.738

Forces on the atoms, in the same order (eV/Å):
-0.271 -0.256 -0.331
-1.100 -0.606 -0.159
0.146 0.459 0.522
0.176 0.390 -0.258
0.068 -0.583 0.256
0.258 -0.018 -0.063
-0.268 0.053 -0.241
0.032 0.230 0.109
1.602 1.441 -0.072
-1.339 0.322 -0.859
1.045 -0.077 0.298
0.009 -0.199 0.152
0.155 -0.457 0.170
0.351 0.106 0.222
3.709 8.101 5.174
-1.937 -3.993 -2.893
0.150 -1.322 0.051
-0.676 0.386 0.074
-0.016 0.549 0.224
>>>


m = m[c("01", "022", "0212", "03", "041", "042", "0211"), 
      c("0", "2", "1", "7", "3", "4", "6", "8", "5")]
t1 = as.vector(table(tb$cola_class)[rownames(m)])
t2 = as.vector(table(tb$Seurat_class)[colnames(m)])
Heatmap(m, name = "overlap coefficient",
    right_annotation = rowAnnotation(bar1 = anno_barplot(t1, width = unit(2, "cm"))),
    top_annotation = HeatmapAnnotation(bar2 = anno_barplot(t2, height = unit(2, "cm"))),
    row_title = "cola classification", row_names_side = "left",
    column_title = "Seurat classification", column_title_side = "bottom",
    cluster_rows = FALSE, cluster_columns = FALSE)

Generally speaking, if cells with high overlap coefficents locate on the diagonal of the heatmap, it means the two classifications highly agrees.

For every class in cola classification (which is on rows of m), the agreement to Seurat classification is defined as the maximal overlap coeffcient to all classes in Seurat.

== Unrelated to this text: quantum chemistry results ==
Molecular formula: C6H15N
Method: DFT, wB97M-V/def2-TZVPD

E_HOMO ... -8.91 eV
Gap between HOMO and LUMO ... 10.052 eV
SMILES ... CCN[C@@H](C)CC
Energy relative to the best compared isomer or geometry (same formula, charge and spin) ... 213.8 kJ/mol
Charge ... 0
Strongest force on any atom ... 4.989 eV/Å
LUMO level ... 0.04213 Ha

XYZ file:
```
22
Properties=species:S:1:pos:R:3:nbo_charge:R:1
C -3.1351 -0.9252 0.3546 -0.60
C -1.8238 -0.1834 0.7162 -0.22
N -0.8050 -0.4552 -0.3516 -0.63
C 0.5445 0.2333 0.0676 -0.05
C 1.1303 -0.3616 1.3641 -0.62
C 1.4535 0.1454 -1.1039 -0.43
C 2.3861 1.3424 -1.4780 -0.62
H -3.0269 -1.8027 -0.1709 0.20
H -3.7393 -0.2587 -0.2559 0.21
H -3.6706 -1.1663 1.3674 0.20
H -1.5661 -0.3838 1.6694 0.16
H -2.0903 0.8190 0.6054 0.18
H -0.8119 -1.5030 -0.3661 0.35
H 0.3594 1.2920 0.3079 0.19
H 2.1443 0.0733 1.2911 0.21
H 0.5507 0.1081 2.2624 0.21
H 1.1474 -1.3805 1.3561 0.20
H 2.0110 -0.8751 -1.1381 0.20
H 0.7216 0.1863 -1.9816 0.23
H 1.9508 2.3017 -1.8088 0.22
H 3.0594 1.7655 -0.5963 0.19
H 3.2103 1.0284 -2.1110 0.22
```

Molecular formula: C6H15N
Method: DFT, wB97M-V/def2-TZVPD

E_HOMO ... -8.49 eV
Gap between HOMO and LUMO ... 9.664 eV
SMILES ... CCN(CC)CC
Energy relative to the best compared isomer or geometry (same formula, charge and spin) ... 140.7 kJ/mol
Charge ... 0
Strongest force on any atom ... 2.278 eV/Å
LUMO level ... 0.04312 Ha

XYZ file:
```
22
Properties=species:S:1:pos:R:3:nbo_charge:R:1
C -0.1594 -2.5348 0.3393 -0.62
C 0.8011 -1.3688 0.0145 -0.21
N 0.3050 0.0148 0.2749 -0.44
C -0.9405 0.4435 -0.4694 -0.23
C -2.3408 -0.0087 -0.0449 -0.62
C 1.3607 0.9208 -0.1275 -0.22
C 1.3766 2.3255 0.4453 -0.62
H -0.8824 -2.5664 -0.4654 0.20
H 0.3897 -3.4389 0.5567 0.22
H -0.7328 -2.2281 1.2175 0.21
H 1.0276 -1.4982 -1.0525 0.16
H 1.6626 -1.3878 0.6795 0.20
H -0.9163 1.5267 -0.2861 0.19
H -0.6317 0.4061 -1.5275 0.16
H -2.6039 0.5777 0.8264 0.22
H -2.9556 0.3110 -0.8864 0.21
H -2.4310 -1.0761 -0.0285 0.21
H 2.3074 0.3992 0.0439 0.20
H 1.3588 1.0356 -1.2350 0.15
H 0.5029 2.9277 0.1557 0.20
H 1.2840 2.3410 1.5330 0.21
H 2.2180 2.8781 0.0364 0.22
```

Molecular formula: C6H15N
Method: DFT, wB97M-V/def2-TZVPD

E_HOMO ... -8.86 eV
Gap between HOMO and LUMO ... 9.964 eV
SMILES ... CCN[C@H](C)CC
Energy relative to the best compared isomer or geometry (same formula, charge and spin) ... 93.7 kJ/mol
Charge ... 0
Strongest force on any atom ... 2.301 eV/Å
LUMO level ... 0.04051 Ha

XYZ file:
```
22
Properties=species:S:1:pos:R:3:nbo_charge:R:1
C -0.6662 1.0817 2.9859 -0.62
C -0.4880 0.2110 1.7344 -0.22
N 0.3013 0.8724 0.7006 -0.61
C 0.2043 0.2433 -0.6326 -0.03
C -1.1802 0.0404 -1.2594 -0.64
C 1.2518 -0.8653 -0.8236 -0.41
C 1.3166 -1.3512 -2.2659 -0.61
H 0.0698 1.8838 3.0387 0.21
H -1.6300 1.5780 2.9345 0.20
H -0.5396 0.4517 3.8488 0.22
H -0.1248 -0.7939 1.9184 0.19
H -1.5108 -0.0102 1.3685 0.15
H -0.0933 1.7919 0.5275 0.35
H 0.5743 1.0933 -1.2376 0.17
H -1.6145 -0.9234 -0.9910 0.20
H -1.0682 0.0472 -2.3464 0.22
== The quantum chemistry results stop here ==

v = rowMaxs(m)
## [1] 0.9732771 0.9650000 0.6976744 0.9941860 0.8253968 0.9722222 0.9720280

Finally, the overlap classification agreement of cola to Seurat is defined as the mean agreement of each class to Seurat weighted by the class size.

size = table(tb$cola_class)
size = size[rownames(m)]
## [1] 0.9470064

The process can be wrapped into a function overall_classification_agreement():

overall_classification_agreement = function(x, y) {
    m = overlap_coefficient(x, y)

    size = table(x)
    size = size[rownames(m)]
    v = rowMaxs(m)

We can test the overlap classification agreement of cola to Seurat and of Seurat to cola. The two values are not the same, but are highly similar.

overall_classification_agreement(tb$cola_class, tb$Seurat_class)
## [1] 0.9470064
overall_classification_agreement(tb$Seurat_class, tb$cola_class)
## [1] 0.9495657

We can randomly permute the Seurat classification to get a null distribution of the overlap classification agreement.

v = replicate(1000, 
    overall_classification_agreement(tb$cola_class, sample(tb$Seurat_class, nrow(tb)))
plot(density(v), xlim = c(0, 1))
abline(v = 0.9470064, col = "red")